Tracey Gere: «The biggest key to our wins is that somehow we developed culture»

Грифоны Санкт-Петербург - Крестоносцы Карлстад / Saint-Petersburg Griffins - Carlstad Crusaders

Head coach of Carlstad Crusaders — six-time Swedish Champions — Tracey Gere told First & Goal during his visit to Saint-Petersburg about seven lost finals, coaching in american High School and the advantage of having an NFL-caliber kicker.

== Attached: crystal structures ==
'''
Material: TmMnO3
Method: DFT, r²SCAN
State: relaxed

```
30
Lattice="-2.6529 5.3215 -1.1335 -0.4832 -4.5321 -3.9834 -9.4203 -3.5842 5.2205" Properties=species:S:1:pos:R:3 pbc="T T T"
Mn -6.4524 1.7646 1.8404
O -6.5719 -5.5205 0.6894
O -8.8019 -1.0646 3.9384
Mn -10.7623 -6.3318 0.8447
Tm -8.0627 -3.8562 0.7661
O -3.4433 -4.0895 -0.8091
O -4.8302 2.2088 1.0125
O -7.1943 -2.1317 1.8930
Tm -7.2811 -2.7703 4.0350
O -4.2660 -0.9078 -0.1092
O -6.0851 -3.1038 -0.3298
Mn -5.7301 -1.5190 0.8894
Mn -11.4846 -3.0482 1.7957
Tm -2.5709 -0.9782 1.4248
O -1.3749 -1.3117 -2.9401
Tm -3.3524 -2.0641 -1.8442
O -9.8492 -2.4802 1.0767
O -4.4529 -1.6942 2.4677
Mn -5.0063 -4.8029 -0.0591
O -3.7043 -0.0324 -2.7081
O -6.8083 0.1807 0.6202
Tm -8.7859 -0.5717 1.7161
O -8.0190 -4.6200 2.9100
O -2.0981 1.9729 -1.9901
O -9.1631 -3.4864 5.0780
O -8.0789 1.3232 2.6688
O -2.3366 1.0448 0.4996
O -1.6738 -1.9651 -0.3710
Mn -12.2084 0.2357 2.7442
Tm -4.0757 1.2205 -0.8942
```

Calculated values
Raw total energy ... -83.416 eV/f.u.

~~~~~

[1]
Ge3W5 | PBE | relaxed

abc: 6.424 6.424 7.581
angles: 115.07 115.07 90.00
Fractional positions:
W  0.000  0.000  0.000
W  0.496  0.322  0.319
W  0.322  0.822  0.319
Ge  0.363  0.863  0.000
W  0.822  0.996  0.319
W  0.004  0.504  0.681
Ge  0.863  0.637  0.000
W  0.678  0.178  0.681
Ge  0.137  0.363  0.000
W  0.178  0.004  0.681
Ge  0.750  0.750  0.500
W  0.500  0.500  0.000
W  0.996  0.496  0.319
Ge  0.250  0.250  0.500
Ge  0.637  0.137  0.000
W  0.504  0.678  0.681

Values from the calculation:
DFT total energy   -9.48 eV per atom
Symmetry   I4/mcm (140)

[2]
Ge3W5 | PBE | relaxed

abc: 5.059 7.446 7.446
angles: 83.37 70.14 70.14
Fractional positions:
Ge  0.670  0.500  0.161
W  0.731  0.695  0.844
W  0.426  0.844  0.305
Ge  0.750  0.000  0.000
Ge  0.830  0.839  0.500
W  0.574  0.156  0.695
W  0.269  0.305  0.156
W  0.074  0.695  0.156
Ge  0.250  0.000  0.000
W  0.750  0.500  0.500
W  0.231  0.844  0.695
W  0.769  0.156  0.305
Ge  0.170  0.161  0.500
Ge  0.330  0.500  0.839
W  0.926  0.305  0.844
W  0.250  0.500  0.500

Values from the calculation:
DFT total energy   -9.64 eV per atom
Symmetry   I4/mcm (140)

[3]
Y5Ge4 | PBE | relaxed

abc: 7.680 7.747 14.768
angles: 90.00 90.00 90.00
Fractional positions:
Ge  0.779  0.532  0.956
Y  0.785  0.502  0.750
Ge  0.916  0.883  0.750
Y  0.471  0.324  0.899
Y  0.715  0.002  0.250
Y  0.529  0.676  0.399
Y  0.621  0.839  0.883
Y  0.621  0.839  0.617
Y  0.971  0.176  0.899
Ge  0.416  0.617  0.750
Ge  0.335  0.863  0.250
Ge  0.221  0.468  0.456
Ge  0.165  0.363  0.750
Ge  0.584  0.383  0.250
Ge  0.721  0.032  0.044
Y  0.285  0.998  0.750
Ge  0.221  0.468  0.044
Y  0.471  0.324  0.601
Y  0.215  0.498  0.250
Y  0.879  0.339  0.383
Ge  0.084  0.117  0.250
Y  0.971  0.176  0.601
Ge  0.721  0.032  0.456
Y  0.121  0.661  0.883
Y  0.029  0.824  0.101
Y  0.121  0.661  0.617
Y  0.379  0.161  0.383
Ge  0.279  0.968  0.956
Y  0.379  0.161  0.117
Ge  0.779  0.532  0.544
Ge  0.665  0.137  0.750
Ge  0.279  0.968  0.544
'''
== Back to the page ==

Tracey, please, tell a few words about your early years in football.

I’m from Seattle, Washington in the US. I’ve grown up there and went to college there — Central Washington University. I spent a couple of years there. And I’ve ended up going on exchange program to Netherlands, where I met my future wife from Sweden. And after a few years after that I ended up coming to Sweden. I haven’t been playing football for a few years at that point. I had to start it up again in Sweden. I started playing and coaching. So for many years with the Crusaders I was both playing and coaching. The last time I played a game was 2013.

When you were playing at college did you have any intentions to build a career as a football player?

I’d have loved to continue it as long as I could but I didn’t see myself playing beyond college. I didn’t planned this kind of career. But if you’d ask me that days I’d say «Yes, I would love to keep playing». I wasn’t that level of player.

What position have you played?

Defensive back.

From the very beginning?

Yes, I always was a defensive back.

What year did you get to Sweden for the first time?

I think the first time I got there was 2000. I was going back and forth all the time.

And when did you get in touch with the Crusaders for the first time?

In summer 2001. It was the midst of the season. I just kind of helped out. I wasn’t allowed to play because they’ve already had american in team. I helped them a bit on a sideline, behind the scenes. And between 2001 and 2002 they asked me to play and to be their defensive coordinator. That’s when I really got started.

What the Crusaders looked like in 2001 when you first met them?

It was a very good team. They were on their way up. Now we have a number of straight championships but then they’ve recently moved in Swedish top-league. They have been climbing up from the new team to the top.

Грифоны Санкт-Петербург - Крестоносцы Карлстад / Saint-Petersburg Griffins - Carlstad Crusaders

IFAF Champions League. Carlstad Crusaders’ time-out. Photo: Leonid Antsiferov (First & Goal)

# Data records from another source follow
/*
Density functional theory data (PBE) for an optimized crystal structure of Tb3CuSe6.

Cell: 7.780 7.115 17.111 Å, 89.60 90.00 90.00°
Atoms (fractional coordinates):
Tb1 0.940 0.266 0.750
Tb2 0.060 0.734 0.250
Tb3 0.560 0.266 0.250
Tb4 0.440 0.734 0.750
Tb5 0.558 0.239 0.588
Tb6 0.442 0.768 0.091
Tb7 0.942 0.232 0.409
Tb8 0.058 0.761 0.912
Tb9 0.442 0.761 0.412
Tb10 0.558 0.232 0.909
Tb11 0.058 0.768 0.591
Tb12 0.942 0.239 0.088
Cu1 0.211 0.394 0.527
Cu2 0.711 0.606 0.973
Cu3 0.789 0.606 0.473
Cu4 0.289 0.394 0.027
Se1 0.909 0.390 0.582
Se2 0.092 0.618 0.081
Se3 0.592 0.382 0.419
Se4 0.409 0.610 0.918
Se5 0.091 0.610 0.418
Se6 0.908 0.382 0.919
Se7 0.408 0.618 0.581
Se8 0.591 0.390 0.082
Se9 0.597 0.381 0.749
Se10 0.403 0.619 0.251
Se11 0.903 0.381 0.249
Se12 0.097 0.619 0.751
Se13 0.250 0.078 0.679
Se14 0.751 0.925 0.177
Se15 0.251 0.075 0.323
Se16 0.750 0.922 0.821
Se17 0.750 0.922 0.321
Se18 0.249 0.075 0.823
Se19 0.749 0.925 0.677
Se20 0.250 0.078 0.179
Se21 0.251 0.064 0.499
Se22 0.751 0.936 0.001
Se23 0.749 0.936 0.501
Se24 0.249 0.064 0.999

magnetization = 0.00 Bohr magnetons per cell
DFT formation energy = -17.06 eV per formula unit
space-group type = No. 14

=====

Density functional theory data (PBE) for an optimized crystal structure of CeGaO3.

Cell: 5.492 5.589 7.869 Å, 90.00 90.00 90.00°
Atoms (fractional coordinates):
Ce1 0.510 0.539 0.250
Ce2 0.990 0.039 0.250
Ce3 0.490 0.461 0.750
Ce4 0.010 0.961 0.750
Ga1 0.500 0.000 0.000
Ga2 0.000 0.500 0.500
Ga3 0.500 0.000 0.500
Ga4 0.000 0.500 0.000
O1 0.418 0.982 0.250
O2 0.082 0.482 0.250
O3 0.582 0.018 0.750
O4 0.918 0.518 0.750
O5 0.790 0.790 0.043
O6 0.710 0.290 0.457
O7 0.210 0.210 0.543
O8 0.290 0.710 0.957
O9 0.210 0.210 0.957
O10 0.290 0.710 0.543
O11 0.790 0.790 0.457
O12 0.710 0.290 0.043

magnetization = 4.00 Bohr magnetons per cell
DFT formation energy = -14.98 eV per formula unit
space-group type = No. 62

=====

Density functional theory data (PBE) for an optimized crystal structure of MgTe4Mo3WS4.

Cell: 3.352 3.352 38.122 Å, 90.00 90.00 120.00°
Atoms (fractional coordinates):
Mg1 0.365 0.702 0.874
Te1 0.333 0.667 0.707
Te2 0.667 0.333 0.044
Te3 0.667 0.333 0.144
Te4 0.333 0.667 0.608
Mo1 0.333 0.667 0.094
Mo2 0.667 0.333 0.282
Mo3 0.667 0.333 0.658
W1 0.333 0.667 0.470
S1 0.333 0.667 0.322
S2 0.667 0.333 0.430
S3 0.667 0.333 0.509
S4 0.333 0.667 0.242

magnetization = 0.01 Bohr magnetons per cell
DFT formation energy = -7.04 eV per formula unit
space-group type = No. 1
ΔE to the lowest computed polymorph = 0.033 eV/atom

=====

Density functional theory data (PBE) for an optimized crystal structure of SiO2.

Cell: 4.864 4.864 4.864 Å, 121.83 107.36 100.04°
Atoms (fractional coordinates):
Si1 0.000 0.250 0.250
Si2 0.000 0.750 0.750
O1 0.985 0.633 0.353
O2 0.720 0.867 0.853
O3 0.280 0.133 0.147
O4 0.015 0.367 0.647

magnetization = 0.00 Bohr magnetons per cell
DFT formation energy = -8.55 eV per formula unit
space-group type = No. 72

=====
*/

Did you have motivation to become a coach? Maybe you wanted to play more?

Honestly, I never really thought about coaching because I had a lot of interesting things in my life outside football. But when I came to Sweden it was pretty natural to coach because there was a lack of coaches. Players were used to help themselves. Even now we don’t have a full staff. So it was natural to help and take a role as a coach because it was needed. It suits me because I enjoy strategy and thinking about planning and all that. For me it was never hard to both play and coach. Maybe it was hard for me as a player in sense that I didn’t get enough practice and time to prepare myself as other players would as I was focused on coaching. Once I was in the game I felt like I wished I was there on the field and get a message to them. When I was playing and something happened I could just run to a guy and say «Hey! What’s going on? You need to do this, you need to do that». It was so much more communication. Now it is only we trying to talk between drives and me trying to scream sometimes across the field. It is kind of frustrating sometimes.

How do you think a player can become a good coach?

It starts with, I guess, your own world, your own position, exactly what you have to do, how to get it done, the techniques. Being interested in bigger picture: how can I fit, how can he fit? Because sometimes players just think «I’ll just do this, I’ll just do that». But you also have to think in terms how it affects everyone else. If I ask you to do the certain task, how would it’s gonna affect the other player. What I have to ask him to do now? So this is always having this big picture thoughts. It takes a lot of time. I always used to say that if I just sit down and watch the show I won’t see the game in the way when I’m prepared for the game. You have that mental image on how things are look, how players are look. And you see so much more. You have to watch the film over and over and prepare for the certain situations. And once you’ve done that you see the picture much more.

So you just have to watch the film?

Of course, no. Even now and when I was playing — especially when I was playing — I was always trying to figure out what’s going on by asking players questions like «What happened to you? What route did you run? How did you get blocked?» Always amazing me that often players don’t know who blocked him. «Who blocked you?» — «I don’t know» — «Did you go left or did you go right?» — «I don’t know». But you find some players who actually do — I don’t know, maybe that’s because the game is slower for them or whatever but a lot of times they are the better players and they have better awareness — and I think that’s something you need to have. Some guys just don’t have it. They just run and they hit, they run and they hit. If you ask them what happened after the play they can never even remember.

Are you studying coaching somewhere except just playing games?

Oh, yeah, I constantly reviewing books and films, articles and blogs. The key thing there as for a coach is that taking as much information as you can is not like looking on what somebody wrote and just copying that. You have to internalise that, go through it on how it would look on your team, how can I get my players to understand this. You have to take time for an idea from someone’s head to go through it in your head and become something you really fully understand. When you just copy it and then something doesn’t work or things don’t go exactly as you expected you don’t know what to say. But if you’re taking time to really dig into it so you know all about it. So when things start happening you understand it, you make adjustments, you can tell players what to do and how to react and things like that.

Tracey Gere

IFAF Champions League. Carlstad Crusaders head coach Tracey Gere. Photo: Leonid Antsiferov (First & Goal)

Crusaders have won national title five or six times in a row…

Six times.

Six times. Why? What helped them?

First of all, the previous eight years before we won our first championship we were in seven finals and lost them all. So we’ve been on both sides. The biggest key that the Crusaders have had is somehow over that time we developed culture. I feel like I’ve been here for most of the time so I was a part of that process. I’m not any kind of architect of it, I was just part of the group. I’m not sure exactly how we’ve done it, other than maybe the fact of so much time and work we put in it lifting weights and training. The town is kind of small and little bit isolated, people there were pretty close because there isn’t much else to do. I’ve heard that team in Stockholm has more difficulty because football there is only one thing from a lot more.

We have the same problem.

The case about culture is that we have a lot of players — including myself — who came from outside the area and it doesn’t matter how far they came from they still became the part of the group and many of them stayed. We have a number of players that have moved to Carlstad from other places in Sweden. The culture pulls in good people, they want to be a part of it and don’t want to leave.

What’s you most memorable moment with the Crusaders?

Maybe two moments… The one was 2007 Championship that we lost. That time it was our sixth straight Championship that we lost. We had won the game. The game was over. We won the game 6-3. We had many troubles getting any points but we managed to score in the end. The game ended, it was 6-3. But referee threw penalty for one of our players who walked on the field to celebrate early. Literally, there were fireworks going on, the game was over. They threw this penalty, nobody knew what have happened. They moved the ball for 15 yards and extended game for one play. Our opponent had a kicker who kicked in NFL. They made 55-yard fieldgoal to tie the game. And then in overtime he kicked another fieldgoal and they won!

That’s crazy!

Yeah. Another one was in 2011. That was the game in Kiel. It was amazing up-and-down game, we beat them in overtime. We scored first, went for two and got it, then they scored, and they needed to go for two to keep the overtime going. It went down to literally the one play and we knocked the ball down in the endzone. That was pretty exciting.

carlstad crusaders tracey gere

IFAF Champions League. Carlstad Crusaders head coach Tracey Gere. Photo: Leonid Antsiferov (First & Goal)

I’ve read that you returned to the United States for a coupe of years and worked in a high school. Why? Was there an invitation?

My wife works for a government agency in Carlstad and she was invited for a short-term job in Swedish embassy in Washington, DC. So we took that opportunity to live in the US for two years and I started coaching in high school.

Tell a few words about your experience. How different it was compared to the Crusaders?

That was my only time coaching outside the Carlstad. I coached junior national Swedish team a little bit but most of my time I spent in Carlstad. Anyway that was great experience. The team that I was with had a few losing years, we really struggled. But that was real learning experience. You know, the guys in Carlstad were really into it. They work very hard and listen for everything you’re telling them. But in the US it was always a struggle to high school kids to pay attention, to work in silence, to run a practice. A lot of those little things I wasn’t used to. You have to do everything to get their attention. They always wanted to run off. I don’t know if it is about all high school students in the US or just that program because they didn’t have that culture, that history that we had in Carlstad where people know that if you came there you have to pay attention and work hard and things like that. That program lacked that and it was a definite challenge. I wish I had one more year because I think we could do some good things and I could learn myself how to get that kids’ attention and stuff like that. I only had one year and then we had to come back. I’d love to continue to see what can happen. But that definitely learning experience and struggle for sure.

One topic I want talk with you about is imported players. We discuss it lot in Russia. What do you think about bringing players from the US to European teams? I’m talking about the situation when one or two players are much stronger then both their teammates and opponents and who make all the results.

This thing was constantly a debate in Sweden. I think the more good players out there — the better. That’s it. Some teams do everything and cover all expenses just to bring an american. You have to play at the level that your organisation is prepared to play at. Like in 2003 we won the EFAF and we had no american import, even quarterback. I mean, I was american but I was there because I moved there, not because I was invited. We just didn’t have it at that time but we were a solid team. I was never like «We should not have an american». If we have the money we can afford it. The more good players we have — the better and that’s it. If you have a team that have a bunch of players that are not very good but you spend all your money on bringing american then maybe you should better focus on building the level of your team up.

So you don’t see any problem of it?

I don’t. If someone have better players for us, for example, that’s a challenge. What we gonna do? How do we make sure that we don’t get beat by those guys? That’s the level we’re at. The same thing was when we were playing with Kiel. They are from Big-6 and they had even more imported players from the US, from another european countries. We didn’t have the money to do that. But we still wanted to play them. Not every team could go and play them, we had to have a lot of good players but I never had in my mind that they had those guys. I wanted to be able to put the best team I could get together and go compete them. That’s the level I wanted to get to whether I have one, two, three or five americans.

carlstad crusaders tracey gere

IFAF Champions League. Carlstad Crusaders coaching staff. Photo: Leonid Antsiferov (First & Goal)

Obvious question: what’s your favourite NFL team?

Seattle Seahawks.

And what’s you favourite player?

In Seahawks right now it might be… Cam Chancellor.

Who do you think will be in Superbowl this season?

Seattle Seahawks versus… New England Patriots. There will be a rematch.

Jared Goff or Carson Wentz?

No idea. I read the stuff about them, I know the colleges they went to but I don’t know who is who.

The last one: you advice to football players in Russia.

Put in the time and effort. You know: bigger, faster, stronger. Put skill, athleticism and love for the game together with your time. In winter, in December, in the gym when everyone else is resting keep on working, lifting and running and you’ll build yourself as a football player.